Any attempt to break the compulsion of nature by breaking nature only succumbs more deeply to that compulsion. That has been the trajectory of European civilization.
Nature has all sorts of forces and dangers in store for mankind. This begins with the human body, which always requires sufficient fluids and food, whilst it needs protection against cold, disease and (natural) disasters. This is how our societal relationships with nature develop, which are increasingly seeking to control and manipulate nature so that it can be dominated by man. And so it happens that the more we try to free ourselves from nature through technology, the more dependent we become on it.
Cars are no longer simple machines. The less we try to impact nature with large-scale technology, e.g. by using air pollution control, or the more we try to isolate ourselves from nature, e.g. by regulating interior temperature, the more we end up consuming and needing to manipulate nature. In both cases, completely new material cycles are required, which in turn require input products and result in output products. Resource consumption thus increases or is delayed, but in both cases the
........
[1]
{
  "formula": "C9H14NO3P",
  "method": "the ωB97M-V functional and the def2-TZVPD basis",
  "smiles": "CCCNC1=C(P(C)C)C(=O)OC1=O",
  "multiplicity": 1,
  "orbital_gap_ev": 7.980,
  "max_force_ev_per_a": 1.4,
  "de_lowest_kj_mol": 5.4,
  "e_homo_ha": -0.3227,
  "energy_ev": -26480.9141,
  "species": ["C", "C", "C", "N", "C", "C", "P", "C", "C", "C", "O", "O", "C", "O", "H", "H", "H", "H", "H", "H", "H", "H", "H", "H", "H", "H", "H", "H"],
  "positions_angstrom": [[-1.992, 1.074, 1.212], [-2.182, 1.265, -0.292], [-0.913, 1.192, -1.133], [-0.611, -0.169, -1.608], [-0.448, -1.147, -0.615], [0.577, -1.394, 0.216], [2.230, -0.677, 0.439], [2.794, -0.191, -1.234], [2.065, 0.860, 1.406], [0.174, -2.570, 1.049], [0.620, -2.923, 2.093], [-0.932, -3.149, 0.457], [-1.510, -2.174, -0.350], [-2.658, -2.200, -0.652], [-2.876, 1.398, 1.758], [-1.119, 1.605, 1.588], [-1.862, 0.019, 1.462], [-2.923, 0.565, -0.678], [-2.597, 2.264, -0.448], [-0.057, 1.608, -0.590], [-1.051, 1.810, -2.020], [0.175, -0.181, -2.241], [3.750, 0.311, -1.105], [2.111, 0.405, -1.839], [2.987, -1.122, -1.766], [1.470, 1.660, 0.966], [3.083, 1.234, 1.526], [1.695, 0.626, 2.402]],
  "nbo_charge": [-0.605, -0.427, -0.201, -0.647, 0.131, -0.419, 0.813, -0.934, -0.932, 0.764, -0.500, -0.503, 0.739, -0.491, 0.219, 0.200, 0.198, 0.231, 0.209, 0.164, 0.207, 0.381, 0.246, 0.206, 0.243, 0.216, 0.241, 0.252]
}

---

[2]
{
  "formula": "C9H14NOS",
  "method": "the ωB97M-V functional and the def2-TZVPD basis",
  "multiplicity": 1,
  "total_charge": 1,
  "orbital_gap_ev": 9.457,
  "max_force_ev_per_a": 4.2,
  "de_lowest_kj_mol": 195.0,
  "e_homo_ha": -0.4738,
  "energy_ev": -23923.8306,
  "species": ["C", "C", "C", "C", "C", "C", "C", "C", "C", "N", "O", "S", "H", "H", "H", "H", "H", "H", "H", "H", "H", "H", "H", "H", "H", "H"],
  "positions_angstrom": [[2.427, 1.494, 1.963], [2.266, 0.109, 1.867], [1.463, 2.378, 1.517], [1.182, -0.363, 1.216], [0.303, 1.895, 0.932], [0.220, 0.547, 0.730], [0.226, -0.351, -2.334], [-1.622, -1.823, -2.155], [-1.963, -1.253, 1.013], [-0.536, -1.116, -1.339], [-0.643, 2.636, 0.333], [-1.254, -0.007, -0.198], [3.419, 1.850, 2.389], [3.174, -0.459, 2.238], [1.457, 3.435, 1.712], [0.887, -1.458, 1.215], [-0.549, 3.584, 0.340], [0.850, -1.306, -2.765], [-0.514, 0.018, -3.083], [0.878, 0.384, -1.948], [-2.368, -1.178, -2.594], [-1.256, -2.456, -2.960], [-1.958, -2.484, -1.326], [-1.090, -1.908, 1.107], [-2.717, -1.624, 0.300], [-2.282, -0.545, 1.831]],
  "nbo_charge": [-0.125, -0.242, -0.277, -0.165, 0.326, -0.295, -0.440, -0.448, -0.690, -0.554, -0.671, 1.001, 0.246, 0.254, 0.235, 0.235, 0.513, 0.239, 0.198, 0.223, 0.209, 0.249, 0.210, 0.249, 0.246, 0.274]
}

---

[3]
{
  "formula": "C9H14NS",
  "method": "the ωB97M-V functional and the def2-TZVPD basis",
  "multiplicity": 1,
  "total_charge": 1,
  "orbital_gap_ev": 8.032,
  "max_force_ev_per_a": 5.5,
  "de_lowest_kj_mol": 273.5,
  "e_homo_ha": -0.4870,
  "energy_ev": -21875.3614,
........
Straitjacket of Nature
tightens instead of becoming looser.
Housing offers some protection from the sun, wind, cold, rain and wildlife. Some flats also offer other amenities such as convenient access to transit, high-speed internet and running water. In terms of water supply alone, we will have to accept that the
Straitjacket of Nature
will be tightened for everyone, because it is through the construction, operation and maintenance of a 7,816 km long water supply network with 69,300 hydrants that we are able to meet the basic water demand for all people living in Berlin.
Due to the current compartmentalization of agriculture, natural cycles are disrupted, at first on a per-farm basis, gradually in entire regions and now on a global scale. However, the
Straightjacket of Nature
is not affected. As a result, a shortage of nutrients in the fields must be compensated by mineral fertilizers, which are a finite resource. Simultaneously, entire areas of Lower Saxony in Germany are being literally flooded with nutrient-rich liquid manure as a result of intensive pig breeding for the global market, causing one of the highest nitrate levels in the EU and thus endangering the water supply.
Je weiter die Automatisierung voranschreitet, desto abhängiger machen wir uns von Technik. Zusätzlich zur Zwangsjacke der Natur streifen wir uns noch eine
Zwangsjacke der Natur
über. Technik hat uns und unser Handeln damit immer mehr im Griff - bis zu dem Punkt, an dem unser Handeln nur noch der Technik dient. Bereits heute hat all das, was das Internet ausmacht den weltweit drittgrößten Energieverbrauch nach China und den USA. Mit der zunehmenden Digitalisierung und Automatisierung der Industrie wird dieser Energieverbrauch noch weiter wachsen, da ja zukünftig jede Schraube einen Sensor trägt, der ans Internet angeschlossen werden soll, um zu funken, dass sie locker ist.
The massive use of oil in every human activity lets us forget the
Straitjacket of Nature
for a few moments. When we put on our glasses for sharper vision, or when we help our hearts with pacemakers, or when we board a long-haul flight to Bali or when we simply cruise at 230 km/h to the bakery around the corner...what we see for a moment as a free ride for those belonging to a species freed from nature only ends up constraining us even more. The smooth delivery of all these seemingly ‘free rides’ and ‘free lunches’ relies heavily on the operation of massive global infrastructure, the consequences of which we have long lost the ability to understand or control.